Assignment >
It remains to start at the top of the calculation results further down and write out each line, ending with the one that has "0.39 0.53".

Entries >
=====
Entry 1:
ORCA calculation (ωB97M-V with the def2-TZVPD basis set) on one molecule with the formula C14H15ClN4O3 in a non-equilibrium geometry.

```
37
Properties=species:S:1:pos:R:3:nbo_charge:R:1
C 1.94 1.38 1.04 -0.19
H 1.54 1.87 0.22 0.21
O 2.00 -0.15 0.67 -0.51
C 0.77 -0.80 0.84 0.38
C 0.89 -2.13 1.14 -0.31
C 0.02 -2.85 1.61 0.32
C -1.36 -2.30 1.66 0.23
C -1.51 -1.28 1.03 -0.25
C -0.50 -0.34 0.60 -0.22
C -1.04 0.86 0.11 0.11
N -0.12 1.58 -0.79 -0.28
N -0.78 2.63 -1.49 -0.37
C -0.43 3.28 -2.39 0.35
N -0.81 4.38 -2.74 -0.36
N -0.40 5.08 -3.81 -0.20
C 0.81 5.01 -4.11 0.14
C 1.44 3.81 -3.68 -0.24
C 1.01 3.07 -2.73 -0.24
H 1.63 1.97 -2.37 0.25
H 2.63 3.69 -4.09 0.22
Cl 1.42 5.93 -5.47 0.00
H -1.70 3.10 -1.04 0.36
H -1.91 1.20 0.37 0.17
H -2.48 -0.73 1.18 0.21
O -2.03 -3.56 1.80 -0.48
C -3.53 -3.10 2.03 -0.30
H -4.27 -3.87 2.36 0.21
H -3.73 -2.86 0.97 0.19
H -3.74 -2.03 2.69 0.18
O 0.25 -4.19 2.09 -0.51
C 1.71 -4.76 2.01 -0.23
H 1.48 -5.79 2.25 0.21
H 2.11 -4.69 1.09 0.18
H 2.10 -4.13 2.73 0.19
H 2.06 -2.28 1.29 0.23
H 3.18 1.57 1.20 0.20
H 1.33 1.43 1.72 0.15
```

Summary:
- Kohn-Sham gap (Ha) = 0.2595
- HOMO energy (Ha) = -0.286
- calculated total energy (eV) = -39370.4224

Entry 2:
ORCA calculation (ωB97M-V with the def2-TZVPD basis set) on an isolated ion of composition C5H11NO and charge +1 in a non-equilibrium geometry.

```
18
Properties=species:S:1:pos:R:3:mulliken_spin:R:1
C -0.97 -1.11 -0.16 -0.01
C -0.87 -2.34 -0.94 0.00
C 0.03 -0.03 -0.71 -0.10
N 0.55 0.85 0.20 0.64
C 1.67 1.82 -0.03 0.00
C -0.14 1.12 1.43 0.01
O 0.37 -0.08 -1.90 0.34
H -0.68 -1.26 0.94 0.00
H -1.98 -0.55 -0.10 -0.01
H 0.15 -2.66 -1.10 0.00
H -1.45 -3.19 -0.52 0.00
H -1.39 -2.30 -1.90 0.00
H 1.88 2.50 0.90 0.00
H 2.68 1.23 -0.26 0.04
H 1.48 2.44 -0.83 0.03
H -0.26 2.29 1.66 0.01
H -1.23 0.79 1.09 0.02
H 0.15 0.49 2.24 0.04
```

Summary:
- Kohn-Sham gap (alpha / beta) (Ha) = 0.4514 / 0.2531
- HOMO energy (alpha / beta) (Ha) = -0.577 / -0.571
- spin multiplicity = 2
- calculated total energy (eV) = -8890.7944
- net charge = +1

Entry 3:
ORCA calculation (ωB97M-V with the def2-TZVPD basis set) on one molecule with the formula C3H4O3.

```
10
Properties=species:S:1:pos:R:3:nbo_charge:R:1
O 0.90 0.42 -0.94 -0.47
C 0.38 -0.67 -0.16 -0.08
C -0.48 0.23 -0.92 0.35
O -1.22 1.19 -0.26 -0.71
C 0.48 -0.51 1.33 0.41
O 0.64 -1.45 2.06 -0.49
H -0.78 2.04 -0.41 0.49
H 0.62 -1.67 -0.54 0.21
H -0.93 -0.11 -1.86 0.17
H 0.39 0.53 1.70 0.13
```

Summary:
- Kohn-Sham gap (Ha) = 0.4018
- HOMO energy (Ha) = -0.375
- calculated total energy (eV) = -9316.4415

~~~~~

1.
54
Properties=species:S:1:pos:R:3:forces:R:3:nbo_charge:R:1 method="wB97M-V/def2-TZVPD" total_charge=+2 e_lumo_ev="-8.9 / -9.0" energy_ha=-3666.0885 gap_ev="6.95 / 6.92"
N -0.6252 -0.0349 -1.8630 1.188 0.532 2.008 -1.01
C -1.3627 -0.4596 -2.7276 -3.282 -0.880 -2.851 0.91
O -2.1439 -0.8030 -3.5497 2.578 0.747 2.405 -0.38
Cu 0.1144 1.8733 -1.8831 0.045 0.093 -0.460 0.96
V 0.0261 0.1905 -0.0143 -0.801 1.749 -1.259 1.21
N -1.0942 1.4827 0.7152 1.456 -0.585 -0.808 -0.58
N 1.8087 0.5852 -0.0330 -1.063 -0.702 0.172 -0.60
C -2.5662 1.4288 0.8087 -0.726 -0.049 0.174 0.09
C 2.9423 0.4297 -0.9636 0.638 0.045 -0.390 0.09
C -3.2017 2.2305 -0.3291 0.014 0.206 -0.253 -0.62
C -3.0003 2.0316 2.1451 0.186 0.113 0.330 -0.62
C -3.0458 -0.0088 0.7192 -0.030 -0.169 0.082 -0.61
C 3.8208 1.6843 -0.9537 0.058 0.248 0.122 -0.62
C 3.7855 -0.7559 -0.5009 0.026 -0.393 0.098 -0.61
C 2.4513 0.1791 -2.3812 0.150 -0.199 -0.034 -0.59
H -2.9003 3.2842 -0.3113 -0.267 -0.194 -0.001 0.22
H -4.2928 2.1877 -0.2156 0.300 0.066 -0.101 0.26
H -2.9455 1.8199 -1.3141 -0.074 -0.048 0.105 0.20
H -2.4598 1.5542 2.9707 -0.159 0.058 -0.065 0.23
H -4.0739 1.8744 2.2970 0.229 0.048 -0.074 0.25
H -2.8027 3.1098 2.1805 -0.140 -0.225 0.043 0.22
H -2.7717 -0.4731 -0.2386 -0.094 0.035 0.141 0.20
H -4.1416 -0.0132 0.7893 0.302 -0.125 -0.081 0.27
H -2.6569 -0.6138 1.5457 -0.081 0.158 -0.139 0.23
H 3.2468 2.5751 -1.2379 0.070 -0.037 0.014 0.21
=====

Outcome >
Entry 1:
ORCA calculation (ωB97M-V with the def2-TZVPD basis set) on one molecule with the formula C14H15ClN4O3 in a non-equilibrium geometry.

```
37
Properties=species:S:1:pos:R:3:nbo_charge:R:1
C 1.94 1.38 1.04 -0.19
H 1.54 1.87 0.22 0.21
O 2.00 -0.15 0.67 -0.51
C 0.77 -0.80 0.84 0.38
C 0.89 -2.13 1.14 -0.31
C 0.02 -2.85 1.61 0.32
C -1.36 -2.30 1.66 0.23
C -1.51 -1.28 1.03 -0.25
C -0.50 -0.34 0.60 -0.22
C -1.04 0.86 0.11 0.11
N -0.12 1.58 -0.79 -0.28
N -0.78 2.63 -1.49 -0.37
C -0.43 3.28 -2.39 0.35
N -0.81 4.38 -2.74 -0.36
N -0.40 5.08 -3.81 -0.20
C 0.81 5.01 -4.11 0.14
C 1.44 3.81 -3.68 -0.24
C 1.01 3.07 -2.73 -0.24
H 1.63 1.97 -2.37 0.25
H 2.63 3.69 -4.09 0.22
Cl 1.42 5.93 -5.47 0.00
H -1.70 3.10 -1.04 0.36
H -1.91 1.20 0.37 0.17
H -2.48 -0.73 1.18 0.21
O -2.03 -3.56 1.80 -0.48
C -3.53 -3.10 2.03 -0.30
H -4.27 -3.87 2.36 0.21
H -3.73 -2.86 0.97 0.19
H -3.74 -2.03 2.69 0.18
O 0.25 -4.19 2.09 -0.51
C 1.71 -4.76 2.01 -0.23
H 1.48 -5.79 2.25 0.21
H 2.11 -4.69 1.09 0.18
H 2.10 -4.13 2.73 0.19
H 2.06 -2.28 1.29 0.23
H 3.18 1.57 1.20 0.20
H 1.33 1.43 1.72 0.15
```

Summary:
- Kohn-Sham gap (Ha) = 0.2595
- HOMO energy (Ha) = -0.286
- calculated total energy (eV) = -39370.4224

Entry 2:
ORCA calculation (ωB97M-V with the def2-TZVPD basis set) on an isolated ion of composition C5H11NO and charge +1 in a non-equilibrium geometry.

```
18
Properties=species:S:1:pos:R:3:mulliken_spin:R:1
C -0.97 -1.11 -0.16 -0.01
C -0.87 -2.34 -0.94 0.00
C 0.03 -0.03 -0.71 -0.10
N 0.55 0.85 0.20 0.64
C 1.67 1.82 -0.03 0.00
C -0.14 1.12 1.43 0.01
O 0.37 -0.08 -1.90 0.34
H -0.68 -1.26 0.94 0.00
H -1.98 -0.55 -0.10 -0.01
H 0.15 -2.66 -1.10 0.00
H -1.45 -3.19 -0.52 0.00
H -1.39 -2.30 -1.90 0.00
H 1.88 2.50 0.90 0.00
H 2.68 1.23 -0.26 0.04
H 1.48 2.44 -0.83 0.03
H -0.26 2.29 1.66 0.01
H -1.23 0.79 1.09 0.02
H 0.15 0.49 2.24 0.04
```

Summary:
- Kohn-Sham gap (alpha / beta) (Ha) = 0.4514 / 0.2531
- HOMO energy (alpha / beta) (Ha) = -0.577 / -0.571
- spin multiplicity = 2
- calculated total energy (eV) = -8890.7944
- net charge = +1

Entry 3:
ORCA calculation (ωB97M-V with the def2-TZVPD basis set) on one molecule with the formula C3H4O3.

```
10
Properties=species:S:1:pos:R:3:nbo_charge:R:1
O 0.90 0.42 -0.94 -0.47
C 0.38 -0.67 -0.16 -0.08
C -0.48 0.23 -0.92 0.35
O -1.22 1.19 -0.26 -0.71
C 0.48 -0.51 1.33 0.41
O 0.64 -1.45 2.06 -0.49
H -0.78 2.04 -0.41 0.49
H 0.62 -1.67 -0.54 0.21
H -0.93 -0.11 -1.86 0.17
H 0.39 0.53 1.70 0.13